Trump the Cannabis RE-legalizer?


Well-Known Member
From Karl Denninger, the Market Ticker, on Trump, cannabis and the Tenth Amendment (see link below for whole article):

His 10th Amendment position on recreational use is likewise well-informed and augurs not for "crushing" states that choose to legalize weed but rather for potentially removing it from the Federal Drug Schedules entirely, not just down-scheduling it, leaving it to states that wish to leave possession and use in their criminal code. That's the "50 state political laboratory" approach and it's about damn time a President took that view toward anything -- and this is the first time, I remind you, in my memory that I've heard a President actually say that. This means that should you live in a state that refuses to legalize weed simply move to one that sees it the other way, a right you have and will continue to enjoy under President Trump. Your choices (as of now) for recreational marijuana use include Alaska, Colorado, Oregon, Washington, the District of Columbia (not a state but close enough), California, Massachusetts and Nevada. All set the age at 21, as with alcohol. All of these states at present prohibit public consumption of weed, but since the most-common means of use that is detectable by others is smoking it that's not unexpected (smoking in most public places is prohibited as well.)

Come in off the ledge, marijuana advocates. You not only don't need to jump you are about to have a President who supports your position to a far greater degree than either Obama or Hillary, and he is taking office in January.

We'll see if President Trump's acts jive with Candidate Trump's words, but what you heard on the campaign trail was a promise to do more for personal liberty and the use of cannabis, whether medically or otherwise, than any previous President in the modern era.

link to entire article and video of Trump's cannabis position:
who will his AG be?.....

Yes, who will the AG nominee be? That is a mystery of the moment...

But it sure is fascinating to observe Trump advocate the Tenth Amendment as a means to cannabis RE-legalization! Watch for the appointee of DEA too, who can probably de-schedule cannabis immediately upon assuming office.

AG is a critical post as the current and recent cast of corrupt judicial criminals of both parties that have been past AGs demonstrates.

The name I hear most often-Rudy Giuliani-casts doubt about Trumps stated position that our totally corrupted Rule of Law must be restored...

Trump campaigned on an anti-establishment drain-the-swamp no-more-corruption platform.

# Inserted here: records of crystals
<<<
Entry 1:
A relaxed structure of Hg3SeO6. Source: Materials Project, functional PBE-GGA.

```
Hg3SeO6
1.0
7.4276 0.0000 0.0000
3.6837 6.5955 0.0000
0.1121 -0.0201 10.1184
Hg Se O
9 3 18
direct
0.0000 0.0000 0.0000
0.0103 0.4784 0.9893
0.1684 0.1553 0.6877
0.3113 0.8584 0.3498
0.6054 0.9099 0.9086
0.6587 0.1866 0.6401
0.7033 0.6595 0.6207
0.8055 0.8582 0.3036
0.8333 0.3457 0.3480
0.1437 0.6782 0.6539
0.3130 0.3771 0.3172
0.5068 0.3832 0.0448
0.0065 0.9088 0.7259
0.0534 0.6763 0.5024
0.1036 0.5124 0.7450
0.1277 0.1821 0.9252
0.2211 0.2273 0.3781
0.3904 0.6173 0.6476
0.3909 0.7625 0.0709
0.4485 0.7108 0.9362
0.4610 0.8852 0.1195
0.4616 0.2202 0.1709
0.5178 0.3304 0.4135
0.5242 0.9877 0.6835
0.5792 0.2251 0.9117
0.6427 0.7000 0.3790
0.7346 0.3532 0.1017
0.8513 0.3268 0.5997
0.8991 0.7800 0.0530
0.9945 0.0068 0.2944
```

Computed properties:
**Energy above the most stable polymorph in this dataset**: 550 meV per atom
**Space group**: P1, No. 1
**ΔH_f (0 K)**: -0.3277 eV per atom

***

Entry 2:
A relaxed structure of Hg3Se4O5. Source: Materials Project, functional PBE-GGA.

```
Hg3Se4O5
1.0
7.9084 0.0000 0.0000
-2.3381 7.5934 0.0000
-3.3108 -1.7711 8.7317
Hg Se O
6 8 10
direct
0.0136 0.4768 0.2179
0.0158 0.9891 0.2716
0.2705 0.8038 0.5892
0.7295 0.1962 0.4108
0.9842 0.0109 0.7284
0.9864 0.5232 0.7821
0.2215 0.8475 0.8409
0.2402 0.8066 0.3118
0.3478 0.3620 0.5917
0.3727 0.3360 0.1104
0.6273 0.6640 0.8896
0.6522 0.6380 0.4083
0.7598 0.1934 0.6882
0.7785 0.1525 0.1591
0.1720 0.3912 0.0432
0.1831 0.4642 0.5270
0.2097 0.1465 0.5755
0.3733 0.2574 0.2719
0.4307 0.4380 0.8045
0.5693 0.5620 0.1955
0.6267 0.7426 0.7281
0.7903 0.8535 0.4245
0.8169 0.5358 0.4730
0.8280 0.6088 0.9568
```

Computed properties:
**Space group**: P-1, No. 2
**E (MP2020)**: -4.127 eV/atom
**ΔH_f (0 K)**: -0.8243 eV per atom

***

Entry 3:
A relaxed structure of Hg2SeO5. Source: Materials Project, functional PBE-GGA.

```
Hg2SeO5
1.0
9.7914 0.0000 0.0000
0.0000 7.3175 0.0000
-4.8332 0.0000 14.7249
Hg Se O
16 8 40
direct
0.0060 0.1354 0.1233
0.0060 0.3646 0.6233
0.3304 0.1177 0.6441
0.3304 0.3823 0.1441
0.3315 0.6172 0.6421
0.3315 0.8828 0.1421
0.3704 0.1354 0.3877
0.3704 0.3646 0.8877
0.6296 0.6354 0.1123
0.6296 0.8646 0.6123
0.6685 0.1172 0.8579
0.6685 0.3828 0.3579
0.6696 0.6177 0.8559
0.6696 0.8823 0.3559
0.9940 0.6354 0.3767
0.9940 0.8646 0.8767
0.0392 0.1529 0.3862
0.0392 0.3471 0.8862
0.3429 0.6534 0.3777
0.3429 0.8466 0.8777
0.6571 0.1534 0.1223
0.6571 0.3466 0.6223
0.9608 0.6529 0.1138
0.9608 0.8471 0.6138
0.0283 0.6838 0.5620
0.0283 0.8162 0.0620
0.0595 0.2304 0.2903
0.0595 0.2696 0.7903
0.0629 0.0329 0.6231
0.0629 0.4671 0.1231
0.2105 0.0979 0.4554
0.2105 0.4021 0.9554
0.2272 0.6056 0.4383
0.2272 0.8944 0.9383
0.2413 0.1306 0.1629
0.2413 0.3694 0.6629
0.2728 0.6842 0.8009
0.2728 0.8158 0.3009
0.3737 0.0393 0.8277
0.3737 0.4607 0.3277
0.4389 0.6322 0.1505
0.4389 0.8678 0.6505
0.4972 0.7280 0.4508
0.4972 0.7720 0.9508
0.5028 0.2280 0.0492
0.5028 0.2720 0.5492
0.5611 0.1322 0.3495
>>>
# End of the records of crystals

We should have a good idea what to expect from Trump in the choices he makes to staff his administration by Jan. 20, 2017.

Prior presidents for decades have appointed the usual suspects that keep the corruption gravy-train on track.

They have particularly appointed members of the Council on Foreign Relations (CFR) and the Trilateral Commission (TC) to key important posts. I'm not advocating any conspiracy theories but merely pointing out the organizations from which administrations are usually staffed. These folks should not even be under consideration, unless we have been deceived by Donald Trump.

Trump has also championed reform of Rule of Law.

However, even more often he has spouted off in support of "law and order".

They are NOT the same thing...

"Law and order" is what the Nazis and Soviets had, and what North Korea still has...and what we increasingly suffer under.

Rule of Law is an infrastructure that forms the bedrock of any society worthy of existence.

Rule of Law means the wealthy and powerful are held accountable as is everyone, while "law and order" means the rabble are indicted, convicted and punished without benefit of the sort of mercy or hall pass accorded the likes of Jon Corzine or Bill and Hillary Clinton.

[Attached: calculated crystals]
-- begin --
*P*
# Na2Ge2O5

A geometry-optimized Na2Ge2O5 structure (GGA-PBE, the Materials Project database).

Lattice parameters (Å, degrees): 5.0352 24.7762 8.5392 90.00 90.24 90.00
Atoms (fractional coordinates):
Na1 0.2196 0.0135 0.1478
Na2 0.2196 0.4865 0.6478
Na3 0.2428 0.5261 0.1010
Na4 0.2428 0.9739 0.6010
Na5 0.2592 0.2205 0.7764
Na6 0.2592 0.2795 0.2764
Na7 0.2758 0.7391 0.4760
Na8 0.2758 0.7609 0.9760
Na9 0.7242 0.2391 0.0240
Na10 0.7242 0.2609 0.5240
Na11 0.7408 0.7205 0.7236
Na12 0.7408 0.7795 0.2236
Na13 0.7572 0.0261 0.3990
Na14 0.7572 0.4739 0.8990
Na15 0.7804 0.5135 0.3522
Na16 0.7804 0.9865 0.8522
Ge1 0.1827 0.1613 0.1399
Ge2 0.1827 0.3387 0.6399
Ge3 0.2013 0.6369 0.8017
Ge4 0.2013 0.8631 0.3017
Ge5 0.2967 0.1104 0.4796
Ge6 0.2967 0.3896 0.9796
Ge7 0.3188 0.5896 0.4589
Ge8 0.3188 0.9104 0.9589
Ge9 0.6812 0.0896 0.0411
Ge10 0.6812 0.4104 0.5411
Ge11 0.7033 0.6104 0.0204
Ge12 0.7033 0.8896 0.5204
Ge13 0.7987 0.1369 0.6983
Ge14 0.7987 0.3631 0.1983
Ge15 0.8173 0.6613 0.3601
Ge16 0.8173 0.8387 0.8601
O1 0.1504 0.1340 0.6581
O2 0.1504 0.3660 0.1581
O3 0.1699 0.6500 0.3838
O4 0.1699 0.8500 0.8838
O5 0.2251 0.0455 0.4190
O6 0.2251 0.4545 0.9190
O7 0.2431 0.1655 0.3461
O8 0.2431 0.3345 0.8461
O9 0.2482 0.5285 0.3736
O10 0.2482 0.9715 0.8736
O11 0.2523 0.2226 0.0537
O12 0.2523 0.2774 0.5537
O13 0.2562 0.5832 0.6651
O14 0.2562 0.9168 0.1651
O15 0.2740 0.7023 0.7457
O16 0.2740 0.7977 0.2457
O17 0.3298 0.1020 0.0594
O18 0.3298 0.3980 0.5594
O19 0.3501 0.6122 0.9794
O20 0.3501 0.8878 0.4794
O21 0.6499 0.1122 0.5206
O22 0.6499 0.3878 0.0206
O23 0.6702 0.6020 0.4406
O24 0.6702 0.8980 0.9406
O25 0.7260 0.2023 0.7543
O26 0.7260 0.2977 0.2543
O27 0.7438 0.0832 0.8349
O28 0.7438 0.4168 0.3349
O29 0.7477 0.7226 0.4463
O30 0.7477 0.7774 0.9463
O31 0.7518 0.0285 0.1264
O32 0.7518 0.4715 0.6264
O33 0.7569 0.6655 0.1539
O34 0.7569 0.8345 0.6539
O35 0.7749 0.5455 0.0810
O36 0.7749 0.9545 0.5810
O37 0.8301 0.1500 0.1162
O38 0.8301 0.3500 0.6162
O39 0.8496 0.6340 0.8419
O40 0.8496 0.8660 0.3419

SG ... P2_1/c
ρ ... 3.38 Mg/m³

=====

*Q*
# Na2Ge2O5

A geometry-optimized Na2Ge2O5 structure (GGA-PBE, the Materials Project database).

Lattice parameters (Å, degrees): 6.6125 5.0870 16.3086 90.00 90.00 90.00
Atoms (fractional coordinates):
Na1 0.0999 0.2223 0.0561
Na2 0.0999 0.7777 0.5561
Na3 0.4001 0.2777 0.5561
Na4 0.4001 0.7223 0.0561
Na5 0.5999 0.2777 0.9439
Na6 0.5999 0.7223 0.4439
Na7 0.9001 0.2223 0.4439
Na8 0.9001 0.7777 0.9439
Ge1 0.1001 0.3048 0.8453
Ge2 0.1001 0.6952 0.3453
Ge3 0.3999 0.1952 0.3453
Ge4 0.3999 0.8048 0.8453
Ge5 0.6001 0.1952 0.1547
Ge6 0.6001 0.8048 0.6547
Ge7 0.8999 0.3048 0.6547
Ge8 0.8999 0.6952 0.1547
O1 0.0000 0.2033 0.7500
O2 0.0000 0.7967 0.2500
O3 0.0556 0.2361 0.5724
O4 0.0556 0.7639 0.0724
O5 0.1542 0.3479 0.3518
O6 0.1542 0.6521 0.8518
O7 0.3458 0.1521 0.8518
O8 0.3458 0.8479 0.3518
O9 0.4444 0.2639 0.0724
O10 0.4444 0.7361 0.5724
O11 0.5000 0.2967 0.2500
O12 0.5000 0.7033 0.7500
O13 0.5556 0.2639 0.4276
O14 0.5556 0.7361 0.9276
-- stop --
[So much for the calculated crystals]

True Rule of Law preserves the Bill of Rights, just as a corrupt judicial system has operated to diminish due process of law and the Bill of Rights.

The War on *some* drugs is and has been the primary driver of corruption of courts, judges and prosecutors, and corrupted and militarized our police officers.

Will Trump insist on a re-examination of failed drug policy as he apparently has in regard to cannabis?

Will Trump muzzle and leash the DEA in regard to decisions made regarding cannabis RE-legalization in the various states?

In fact, the DEA is a government agency without Constitutional authority to even exist (where is the Constitutional Amendment allowing governmental action in regard to drugs...or the flora the people may choose to cultivate?) and therefore should be decommissioned via executive order.

Draining the swamp is a tall order...and absolutely essential to restore liberty and Rule of Law.

Trump freely took these responsibilities as his platform as no President-elect has since I have been an observer starting with Nixon; they all-regardless of party affiliation crapped all over the Bill of Rights and the Constitution. Very powerful toes will be crushed if Trump is true to his word and applies serious reform to the judicial system and limits governmental power generally.

Citizen pressure should be applied ceaselessly in order to support President Trump in carrying out these critical behind-the-scenes efforts to thwart them will surely be attempted.
For your thousand words I present a picture.

AG and DOJ will have mega yuuuuuuuge implications.
I saw a video where he was speaking fairly friendly about cannabis (regardless of what some might want to believe)
praying that he was being authentic, I pray he really has friends that use the medicine and that he won't kick sand in the cogs of the states already with med/rec
AG and DOJ will have mega yuuuuuuuge implications.
I saw a video where he was speaking fairly friendly about cannabis (regardless of what some might want to believe)
praying that he was being authentic, I pray he really has friends that use the medicine and that he won't kick sand in the cogs of the states already with med/rec
The problem is his "friends" are too rich for cannabis illegality to affect them.
The problem is his "friends" are too rich for cannabis illegality to affect them.
True and with that we saw how quick he will punt his friend overboard in front of the media (final debate) in the face of potentially losing face or a dig at his ego.